Input.
Record 1
Compound: YCdCu
Source: Alexandria via LeMat-Bulk
Functional: PBE
Structure: relaxed

a b c (Å): 4.647 4.647 3.469
angles (deg): 90.00 90.00 120.00
Sites, in units of the cell vectors:
Cd 0.000 0.000 0.166
Y 0.333 0.667 0.666
Cu 0.667 0.333 0.167

Computed properties:
Energy of formation from the pure elements: -0.66 eV per formula unit
Magnetic moment: 0.00 μB per cell
E_tot: -4.045 eV per atom

***

Record 2
Compound: YCd8Cu4
Source: Alexandria via LeMat-Bulk
Functional: PBE
Structure: relaxed

a b c (Å): 5.364 7.302 7.302
angles (deg): 82.25 68.45 68.45
Sites, in units of the cell vectors:
Cd 0.000 0.340 0.660
Cd 0.285 0.215 0.215
Cu 0.000 0.500 0.000
Cd 0.000 0.660 0.340
Cd 0.715 0.785 0.785
Cu 0.500 0.500 0.000
Cd 0.340 0.660 0.660
Cu 0.000 0.000 0.500
Cu 0.500 0.000 0.500
Y 0.000 0.000 0.000
Cd 0.500 0.215 0.785
Cd 0.500 0.785 0.215
Cd 0.660 0.340 0.340

Computed properties:
Energy of formation from the pure elements: -1.14 eV per formula unit
Magnetic moment: 0.00 μB per cell
E_tot: -2.408 eV per atom

***

Record 3
Compound: YCd2Cu
Source: Alexandria via LeMat-Bulk
Functional: PBE
Structure: relaxed

a b c (Å): 4.266 4.270 4.834
angles (deg): 90.00 90.00 90.00
Sites, in units of the cell vectors:
Cd 0.000 0.000 0.000
Y 0.000 0.500 0.500
Cd 0.500 0.500 0.000
Cu 0.500 0.000 0.500

Computed properties:
Energy of formation from the pure elements: -0.47 eV per formula unit
Magnetic moment: 0.00 μB per cell
E_tot: -3.215 eV per atom

***

Record 4
Compound: YCd2Cu
Source: Alexandria via LeMat-Bulk
Functional: PBE
Structure: relaxed

a b c (Å): 4.205 4.205 11.040
angles (deg): 79.02 79.02 90.00
Sites, in units of the cell vectors:
Cd 0.375 0.400 0.750
Cd 0.150 0.625 0.250
Cd 0.875 0.850 0.750
Cd 0.600 0.125 0.250
Y 0.000 0.000 0.000
Cu 0.500 0.500 0.000
Cu 0.250 0.750 0.500
Y 0.750 0.250 0.500

Computed properties:
Energy of formation from the pure elements: 0.23 eV per formula unit
Magnetic moment: 0.00 μB per cell
E_tot: -3.041 eV per atom

***

Record 5
Compound: Y2Zn3CdCu12
Source: Alexandria via LeMat-Bulk
Functional: PBE
Structure: relaxed

a b c (Å): 6.570 6.570 6.570
angles (deg): 85.29 85.29 85.29
Sites, in units of the cell vectors:
Cu 0.865 0.416 0.416
Cu 0.584 0.584 0.135
Zn 0.500 0.000 0.000
Cu 0.584 0.135 0.584
Y 0.294 0.294 0.294
Cu 0.798 0.289 0.798
Cd 0.000 0.000 0.000
Zn 0.000 0.000 0.500
Cu 0.416 0.416 0.865
Cu 0.202 0.711 0.202
Cu 0.202 0.202 0.711
Cu 0.416 0.865 0.416
Cu 0.289 0.798 0.798
Cu 0.798 0.798 0.289
Cu 0.135 0.584 0.584
Y 0.706 0.706 0.706
Cu 0.711 0.202 0.202
Zn 0.000 0.500 0.000

Computed properties:
Energy of formation from the pure elements: 1.16 eV per formula unit
Magnetic moment: 0.00 μB per cell
E_tot: -3.648 eV per atom

***

Record 6
Compound: Zn3CdCu2
Source: Alexandria via LeMat-Bulk
Functional: PBE
Structure: relaxed

a b c (Å): 5.052 6.151 6.151
angles (deg): 91.96 90.00 90.00
Sites, in units of the cell vectors:
Cd 0.750 0.620 0.620
Cu 0.000 0.247 0.753
Cu 0.500 0.753 0.247
Cu 0.000 0.753 0.247
Zn 0.250 0.570 0.924
Cd 0.250 0.380 0.380
Cu 0.500 0.247 0.753
Zn 0.750 0.076 0.430
Zn 0.250 0.924 0.570
Zn 0.750 0.974 0.974
Zn 0.250 0.026 0.026
Zn 0.750 0.430 0.076

Computed properties:
Energy of formation from the pure elements: 0.02 eV per formula unit
Magnetic moment: 0.00 μB per cell
E_tot: -2.152 eV per atom

***

Record 7
Compound: ZnCd3Cu
Source: Alexandria via LeMat-Bulk
Functional: PBE
Structure: relaxed

a b c (Å): 5.055 5.055 5.055
angles (deg): 90.00 90.00 90.00
Sites, in units of the cell vectors:
Cu 0.000 0.000 0.000
Zn 0.500 0.500 0.500
Cd 0.000 0.500 0.000
Cd 0.500 0.000 0.000
Cd 0.000 0.000 0.500

Computed properties:
ΔE to the lowest computed polymorph: 0 meV per atom
Energy of formation from the pure elements: 1.55 eV per formula unit
Magnetic moment: 0.00 μB per cell
E_tot: -1.313 eV per atom

***

Record 8
Compound: Zn2CdCu8
Source: Alexandria via LeMat-Bulk
Functional: PBE
Structure: relaxed

a b c (Å): 2.818 6.734 8.045
angles (deg): 75.47 100.37 90.17

Wanted.
What is needed: copy everything earlier on without altering anything.

Completed.
Record 1
Compound: YCdCu
Source: Alexandria via LeMat-Bulk
Functional: PBE
Structure: relaxed

a b c (Å): 4.647 4.647 3.469
angles (deg): 90.00 90.00 120.00
Sites, in units of the cell vectors:
Cd 0.000 0.000 0.166
Y 0.333 0.667 0.666
Cu 0.667 0.333 0.167

Computed properties:
Energy of formation from the pure elements: -0.66 eV per formula unit
Magnetic moment: 0.00 μB per cell
E_tot: -4.045 eV per atom

***

Record 2
Compound: YCd8Cu4
Source: Alexandria via LeMat-Bulk
Functional: PBE
Structure: relaxed

a b c (Å): 5.364 7.302 7.302
angles (deg): 82.25 68.45 68.45
Sites, in units of the cell vectors:
Cd 0.000 0.340 0.660
Cd 0.285 0.215 0.215
Cu 0.000 0.500 0.000
Cd 0.000 0.660 0.340
Cd 0.715 0.785 0.785
Cu 0.500 0.500 0.000
Cd 0.340 0.660 0.660
Cu 0.000 0.000 0.500
Cu 0.500 0.000 0.500
Y 0.000 0.000 0.000
Cd 0.500 0.215 0.785
Cd 0.500 0.785 0.215
Cd 0.660 0.340 0.340

Computed properties:
Energy of formation from the pure elements: -1.14 eV per formula unit
Magnetic moment: 0.00 μB per cell
E_tot: -2.408 eV per atom

***

Record 3
Compound: YCd2Cu
Source: Alexandria via LeMat-Bulk
Functional: PBE
Structure: relaxed

a b c (Å): 4.266 4.270 4.834
angles (deg): 90.00 90.00 90.00
Sites, in units of the cell vectors:
Cd 0.000 0.000 0.000
Y 0.000 0.500 0.500
Cd 0.500 0.500 0.000
Cu 0.500 0.000 0.500

Computed properties:
Energy of formation from the pure elements: -0.47 eV per formula unit
Magnetic moment: 0.00 μB per cell
E_tot: -3.215 eV per atom

***

Record 4
Compound: YCd2Cu
Source: Alexandria via LeMat-Bulk
Functional: PBE
Structure: relaxed

a b c (Å): 4.205 4.205 11.040
angles (deg): 79.02 79.02 90.00
Sites, in units of the cell vectors:
Cd 0.375 0.400 0.750
Cd 0.150 0.625 0.250
Cd 0.875 0.850 0.750
Cd 0.600 0.125 0.250
Y 0.000 0.000 0.000
Cu 0.500 0.500 0.000
Cu 0.250 0.750 0.500
Y 0.750 0.250 0.500

Computed properties:
Energy of formation from the pure elements: 0.23 eV per formula unit
Magnetic moment: 0.00 μB per cell
E_tot: -3.041 eV per atom

***

Record 5
Compound: Y2Zn3CdCu12
Source: Alexandria via LeMat-Bulk
Functional: PBE
Structure: relaxed

a b c (Å): 6.570 6.570 6.570
angles (deg): 85.29 85.29 85.29
Sites, in units of the cell vectors:
Cu 0.865 0.416 0.416
Cu 0.584 0.584 0.135
Zn 0.500 0.000 0.000
Cu 0.584 0.135 0.584
Y 0.294 0.294 0.294
Cu 0.798 0.289 0.798
Cd 0.000 0.000 0.000
Zn 0.000 0.000 0.500
Cu 0.416 0.416 0.865
Cu 0.202 0.711 0.202
Cu 0.202 0.202 0.711
Cu 0.416 0.865 0.416
Cu 0.289 0.798 0.798
Cu 0.798 0.798 0.289
Cu 0.135 0.584 0.584
Y 0.706 0.706 0.706
Cu 0.711 0.202 0.202
Zn 0.000 0.500 0.000

Computed properties:
Energy of formation from the pure elements: 1.16 eV per formula unit
Magnetic moment: 0.00 μB per cell
E_tot: -3.648 eV per atom

***

Record 6
Compound: Zn3CdCu2
Source: Alexandria via LeMat-Bulk
Functional: PBE
Structure: relaxed

a b c (Å): 5.052 6.151 6.151
angles (deg): 91.96 90.00 90.00
Sites, in units of the cell vectors:
Cd 0.750 0.620 0.620
Cu 0.000 0.247 0.753
Cu 0.500 0.753 0.247
Cu 0.000 0.753 0.247
Zn 0.250 0.570 0.924
Cd 0.250 0.380 0.380
Cu 0.500 0.247 0.753
Zn 0.750 0.076 0.430
Zn 0.250 0.924 0.570
Zn 0.750 0.974 0.974
Zn 0.250 0.026 0.026
Zn 0.750 0.430 0.076

Computed properties:
Energy of formation from the pure elements: 0.02 eV per formula unit
Magnetic moment: 0.00 μB per cell
E_tot: -2.152 eV per atom

***

Record 7
Compound: ZnCd3Cu
Source: Alexandria via LeMat-Bulk
Functional: PBE
Structure: relaxed

a b c (Å): 5.055 5.055 5.055
angles (deg): 90.00 90.00 90.00
Sites, in units of the cell vectors:
Cu 0.000 0.000 0.000
Zn 0.500 0.500 0.500
Cd 0.000 0.500 0.000
Cd 0.500 0.000 0.000
Cd 0.000 0.000 0.500

Computed properties:
ΔE to the lowest computed polymorph: 0 meV per atom
Energy of formation from the pure elements: 1.55 eV per formula unit
Magnetic moment: 0.00 μB per cell
E_tot: -1.313 eV per atom

***

Record 8
Compound: Zn2CdCu8
Source: Alexandria via LeMat-Bulk
Functional: PBE
Structure: relaxed

a b c (Å): 2.818 6.734 8.045
angles (deg): 75.47 100.37 90.17